Buna .Cine ar putea sa imi traduca aceasta compunere in engleza?
Buna .Am primit scrisoarea ta in care imi scri ca doresti sa inveti engleza mai bine si ma rogi sa iti dau niste sfaturi.Sunt multe lucruri care m-au ajutat pe mine sa invat engleza mai bine .
=====
--- P ---
Entry from the Open Molecules 2025 dataset: one molecule with the formula C2H3Cl2N2P (ωB97M-V/def2-TZVPD).

CARTESIAN COORDINATES (ANGSTROEM)
H1 1.6753 -1.5237 -0.7257
N1 1.8871 -1.1567 0.2007
C1 0.7987 -0.7411 0.6977
C2 -0.4738 -0.2965 -0.0119
Cl1 -0.9467 -1.4959 -1.3545
Cl2 -1.9411 -0.5543 1.2753
N2 -0.2570 0.9431 -0.5663
P1 -1.1532 2.1974 -0.2659
H2 -0.2959 3.1815 -1.0129
H3 0.7067 -0.5540 1.7635

Output
Net charge: 0
Multiplicity: 1
SMILES string: [H]/N=C\C(Cl)(Cl)/N=P/[H]
Orbital gap (eV): 8.65

***

--- Q ---
Entry from the Open Molecules 2025 dataset: C2H3Cl2N2P as an isolated structure (ωB97M-V/def2-TZVPD).

CARTESIAN COORDINATES (ANGSTROEM)
C1 1.2298 0.3049 0.1522
C2 -0.1727 -0.1337 0.0650
N1 1.6995 1.7225 -0.9801
N2 -0.6949 0.8070 -1.0022
P1 0.3111 2.0413 -1.6414
Cl1 2.4498 -1.0247 0.0086
Cl2 -1.0055 0.2037 1.5919
H1 1.4206 1.0077 1.0053
H2 -0.3422 -1.1077 -0.3320
H3 -1.6724 1.0383 -1.0493

Output
Net charge: 0
Multiplicity: 1
Orbital gap (eV): 10.00

***

Q is the most stable structure; the next one sits 0.510 eV above it.

***

--- P ---
Entry from the Open Molecules 2025 dataset: one molecule with the formula C7H13N2P (ωB97M-V/def2-TZVPD).

CARTESIAN COORDINATES (ANGSTROEM)
C1 -5.0375 0.8537 0.0682
N1 -4.3410 -0.1712 -0.1055
N2 -2.9052 0.0469 0.4446
P1 -1.8564 -0.6997 -0.4607
C2 -0.2133 -0.3595 0.4991
C3 0.7802 -1.5021 0.0613
C4 2.2939 -1.2537 0.3885
C5 2.7272 -0.1377 -0.4962
C6 1.9410 1.0940 -0.0930
C7 0.3366 0.9186 -0.2319
H1 -6.1159 0.9844 -0.2651
H2 -4.5215 1.8940 0.3529
H3 -0.2299 -0.2830 1.5416
H4 0.6386 -1.5922 -1.0183
H5 0.3397 -2.4551 0.4385
H6 2.9089 -2.1717 0.2114
H7 2.3652 -0.9551 1.3969
H8 3.7897 0.0715 -0.3272
H9 2.5690 -0.2685 -1.5979
H10 2.1935 1.3423 1.0156
H11 2.4380 1.8801 -0.8040
H12 -0.0697 1.7728 0.2985
H13 -0.0311 0.9910 -1.3175

Output
Net charge: 0
Multiplicity: 1
SMILES string: C=N/N=P/C1CCCCC1
Orbital gap (eV): 8.89

***

--- Q ---
Entry from the Open Molecules 2025 dataset: one molecule with the formula C7H13N2P (ωB97M-V/def2-TZVPD).

CARTESIAN COORDINATES (ANGSTROEM)
C1 1.2528 -1.8890 0.3464
C2 2.2772 0.6600 -0.2447
C3 -0.7251 -0.5537 -0.1634
C4 2.1665 2.0559 -0.4886
C5 -0.6520 -0.7844 -1.6819
C6 -2.1960 -1.0139 0.1899
C7 -0.6469 1.1640 1.4996
N1 0.0401 -1.7005 0.2828
N2 -0.1599 0.6787 0.2273
P1 2.8651 -0.6699 0.3696
H1 1.5096 -2.8665 0.5854
H2 2.2466 2.2591 -1.5013
H3 2.8389 2.5961 0.2849
H4 1.1431 2.3085 -0.2337
H5 -1.2633 -0.1222 -2.1546
H6 -0.9752 -1.8092 -1.7999
H7 0.2673 -0.5643 -2.1880
H8 -2.4427 -2.0324 -0.2620
H9 -2.9604 -0.2556 -0.0161
H10 -2.0943 -1.2025 1.2669
H11 -0.5307 0.4127 2.3083
H12 -0.1715 2.0770 1.8189
H13 -1.7892 1.2520 1.5543

Output
Net charge: 0
Multiplicity: 1
Orbital gap (spin up / spin down) (eV): 6.82 / 8.36

***

P is the most stable structure; the next one sits 3.204 eV above it.

***

--- P ---
Entry from the Open Molecules 2025 dataset: a 3-piece molecular cluster, C6H16N2O overall (ωB97M-V/def2-TZVPD).

CARTESIAN COORDINATES (ANGSTROEM)
=====
In primul rand ,trebuie sa citesti cat de multe carti in engleza.Eu am citit cartile:......M-au ajutat foarte mult deoarece asa am invatat cuvinte noi .Poti citi deasemenea reviste,documentare sau stiri despre moda,vedete sport sau filme.Alt lucru este acela de a scrie emailuri scrisori sau compuneri in engleza .Scriind in engleza iti imbogatesti vocabularul si inveti gramatica limbii.
In al doilea rand te poti uita la seriale si la filme in engleza.Serialele pe care le recomand sunt.......Din seriale eu am invatat cel mai bine Engleza.Alta metoda eficienta prin care poti invata engleza este aceea de a vorbi cu un prieten la telefon in engleza in fiecare zi.Aceasta metoda eu o practic si ma ajuta mult.Poti deasemenea sa iti descarci aplicatii care te vor ajuta sa inveti limba engleza precum:.......
Sper ca te am ajutat si astept un raspuns din partea ta cat mai curand ca sa ma anunti cum te descurci .Mult succes!Cu drag ,.....
Răspunsuri la întrebare
Hi. I received your letter in which you write to me that you want to learn English better and ask me to give you some advice. There are many things that have helped me to learn English better.
First of all, you have to read as many books in English. I read the books: ...... They helped me a lot because that's how I learned new words. You can also read magazines, documentaries or fashion news, celebrities sports or movies. Another thing is to write emails, letters or compositions in English. Writing in English enriches your vocabulary and learns the grammar of the language.
Secondly, you can watch series and movies in English. The series I recommend are ....... From the series I learned the best English. Another effective method by which you can learn English is to talk to a friend on the phone in English every day. I practice this method and it helps me a lot. You can also download applications that will help you learn English such as: .......
I hope I helped you and I am waiting for an answer from you as soon as possible to let me know how you are doing. Good luck!
Hi. I received your letter in which you write to me that you want to learn English better and ask me to give you some advice. There are many things that have helped me to learn English better.
First of all, you have to read as many books in English. I read the books: half and half They helped me a lot because that's how I learned new words. You can also read magazines, documentaries or fashion news, celebrities sports or movies. Another thing is to write emails, letters or compositions in English. Writing in English enriches your vocabulary and learns the grammar of the language.
Secondly, you can watch series and movies in English. The series I recommend are nice From the series I learned the best English. Another effective method by which you can learn English is to talk to a friend on the phone in English every day. I practice this method and it helps me a lot. You can also download applications that will help you learn English such as: good